_Input_
The following is a theoretical X-ray diffraction stick pattern of LiMn16O32. It was derived from a DFT-relaxed cell (PBE+U, the Materials Project), using Cu Ka.
Peak positions follow from Bragg's law for the DFT cell and can differ from measured ones.

Crystal structure
abc: 10.259 5.787 19.181
angles: 90.00 98.41 90.00
Space group Cm (No. 8)
Symmetry-distinct sites (fractional):
Li (0.000, 0.000, 0.000) x2
Mn (0.028, 0.250, 0.349) x4
Mn (0.029, 0.500, 0.596) x2
Mn (0.030, 0.500, 0.098) x2
Mn (0.031, 0.253, 0.849) x4
Mn (0.143, 0.000, 0.478) x2
Mn (0.159, 0.500, 0.968) x2
Mn (0.261, 0.000, 0.754) x2
Mn (0.277, 0.000, 0.350) x2
Mn (0.280, 0.249, 0.098) x4
Mn (0.281, 0.254, 0.596) x4
Mn (0.404, 0.000, 0.224) x2
Mn (0.413, 0.500, 0.718) x2
O (0.070, 0.500, 0.288) x2
O (0.083, 0.000, 0.787) x2
O (0.084, 0.500, 0.796) x2
O (0.098, 0.000, 0.298) x2
O (0.106, 0.274, 0.041) x4
O (0.111, 0.249, 0.541) x4
O (0.192, 0.262, 0.911) x4
O (0.199, 0.220, 0.408) x4
O (0.211, 0.500, 0.149) x2
O (0.222, 0.000, 0.653) x2
O (0.232, 0.500, 0.655) x2
O (0.238, 0.000, 0.158) x2
O (0.325, 0.000, 0.538) x2
O (0.326, 0.500, 0.038) x2
O (0.330, 0.500, 0.543) x2
O (0.350, 0.000, 0.047) x2
O (0.355, 0.222, 0.291) x4
O (0.365, 0.268, 0.784) x4
O (0.448, 0.249, 0.652) x4
O (0.453, 0.223, 0.156) x4
O (0.458, 0.000, 0.400) x2
O (0.475, 0.500, 0.899) x2
O (0.482, 0.500, 0.409) x2
O (0.487, 0.000, 0.909) x2

Most intense lines, 10 to 90 degrees two-theta, in order of rising 2θ:
2θ (°)	d_spacing	intensity	index
18.58	4.774	100	2 0 -2
18.71	4.743	36	0 0 4
20.59	4.314	13	1 1 2
36.35	2.472	39	0 2 4
42.81	2.112	33	4 0 4
44.38	2.041	59	2 2 -6
63.19	1.471	19	6 2 -2
63.54	1.464	19	2 2 10


The following is a theoretical X-ray diffraction stick pattern of Li4Mn3O7. It was derived from a DFT-relaxed cell (PBE+U, the Materials Project), using Cu Ka.
Peak positions follow from Bragg's law for the DFT cell and can differ from measured ones.

Crystal structure
abc: 19.575 2.878 9.886
angles: 90.00 111.12 90.00
Space group C2/m (No. 12)
Symmetry-distinct sites (fractional):
Li (0.000, 0.000, 0.000) x2
Li (0.000, 0.500, 0.500) x2
Li (0.068, 0.000, 0.790) x4
Li (0.137, 0.500, 0.065) x4
Li (0.208, 0.000, 0.346) x4
Mn (0.064, 0.500, 0.269) x4
Mn (0.141, 0.000, 0.562) x4
Mn (0.213, 0.500, 0.854) x4
O (0.025, 0.500, 0.875) x4
O (0.037, 0.000, 0.375) x4
O (0.104, 0.000, 0.188) x4
O (0.108, 0.500, 0.658) x4
O (0.168, 0.500, 0.455) x4
O (0.178, 0.000, 0.948) x4
O (0.249, 0.000, 0.761) x4

Most intense lines, 10 to 90 degrees two-theta, in order of rising 2θ:
2θ (°)	d_spacing	intensity	index
18.32	4.843	100	4 0 -1
33.96	2.640	17	2 0 3
36.17	2.483	23	1 1 -2
41.00	2.201	34	6 0 2
44.12	2.053	57	5 1 -3
58.18	1.586	10	9 1 -4
61.44	1.509	15	1 1 5
62.15	1.494	16	11 1 -1


The following is a theoretical X-ray diffraction stick pattern of Li13Mn2O9. It was derived from a DFT-relaxed cell (PBE+U, the Materials Project), using Cu Ka.
Peak positions follow from Bragg's law for the DFT cell and can differ from measured ones.

Crystal structure
abc: 5.690 8.223 10.039
angles: 89.98 90.00 88.42
Space group P1 (No. 1)
Symmetry-distinct sites (fractional):
Li (0.000, 0.000, 0.000) x1
Li (0.001, 0.464, 0.655) x1
Li (0.016, 0.464, 0.359) x1
Li (0.149, 0.645, 0.183) x1
Li (0.155, 0.641, 0.829) x1
Li (0.163, 0.147, 0.515) x1
Li (0.286, 0.270, 0.011) x1
Li (0.288, 0.787, 0.643) x1
Li (0.319, 0.794, 0.357) x1
Li (0.322, 0.281, 0.697) x1
Li (0.332, 0.791, 0.003) x1
Li (0.351, 0.250, 0.321) x1
Li (0.450, 0.002, 0.172) x1
Li (0.477, 0.464, 0.159) x1
Li (0.485, 0.468, 0.858) x1
Li (0.534, 0.998, 0.514) x1
Li (0.648, 0.156, 0.009) x1
Li (0.649, 0.629, 0.682) x1
Li (0.668, 0.625, 0.332) x1
Li (0.783, 0.793, 0.143) x1
Li (0.794, 0.275, 0.516) x1
Li (0.807, 0.798, 0.852) x1
Li (0.820, 0.279, 0.195) x1
Li (0.825, 0.271, 0.812) x1
Li (0.843, 0.773, 0.515) x1
Li (0.953, 0.999, 0.685) x1
Mn (0.438, 0.473, 0.504) x1
Mn (0.449, 0.998, 0.818) x1
Mn (0.934, 0.480, 0.005) x1
Mn (0.946, 0.991, 0.329) x1
_Assignment_
Please find the line above that holds "0.000) x1", then transcribe that line and all lines after it there.
_Here it is_
Li (0.000, 0.000, 0.000) x1
Li (0.001, 0.464, 0.655) x1
Li (0.016, 0.464, 0.359) x1
Li (0.149, 0.645, 0.183) x1
Li (0.155, 0.641, 0.829) x1
Li (0.163, 0.147, 0.515) x1
Li (0.286, 0.270, 0.011) x1
Li (0.288, 0.787, 0.643) x1
Li (0.319, 0.794, 0.357) x1
Li (0.322, 0.281, 0.697) x1
Li (0.332, 0.791, 0.003) x1
Li (0.351, 0.250, 0.321) x1
Li (0.450, 0.002, 0.172) x1
Li (0.477, 0.464, 0.159) x1
Li (0.485, 0.468, 0.858) x1
Li (0.534, 0.998, 0.514) x1
Li (0.648, 0.156, 0.009) x1
Li (0.649, 0.629, 0.682) x1
Li (0.668, 0.625, 0.332) x1
Li (0.783, 0.793, 0.143) x1
Li (0.794, 0.275, 0.516) x1
Li (0.807, 0.798, 0.852) x1
Li (0.820, 0.279, 0.195) x1
Li (0.825, 0.271, 0.812) x1
Li (0.843, 0.773, 0.515) x1
Li (0.953, 0.999, 0.685) x1
Mn (0.438, 0.473, 0.504) x1
Mn (0.449, 0.998, 0.818) x1
Mn (0.934, 0.480, 0.005) x1
Mn (0.946, 0.991, 0.329) x1